1.
VGaTe2O8: computed X-ray diffraction stick pattern (a wavelength of 1.5418 Å), based on a GGA+U-relaxed structure.

Peak list (12 most intense, 2θ = 10–90°, in order of rising 2θ)
two_theta, I/Imax
10.62, 15
18.46, 24
21.30, 47
23.77, 37
25.84, 21
27.83, 100
28.20, 19
28.35, 85
31.98, 40
33.49, 18
48.73, 21
54.19, 22

```
48
Lattice="8.105 0.000 0.000 0.000 5.021 0.000 -6.863 0.000 16.660" Properties=species:S:1:pos:R:3 pbc="T T T"
V 1.346 1.105 1.206
V -2.085 1.405 9.537
V 3.328 3.616 7.124
V -0.104 3.915 15.454
Ga 1.719 1.206 5.417
Ga -1.713 1.304 13.748
Ga 2.955 3.716 2.913
Ga -0.476 3.815 11.243
Te -3.564 3.694 12.033
Te -0.132 3.837 3.703
Te -0.569 3.296 7.174
Te -4.001 4.235 15.504
Te 5.243 0.786 1.156
Te 1.812 1.724 9.486
Te 1.375 1.183 12.957
Te 4.806 1.327 4.627
O -3.536 0.638 9.694
O -0.104 1.873 1.364
O -1.132 3.014 5.345
O -4.564 4.517 13.675
O -5.287 0.522 16.132
O -1.856 1.988 7.802
O 0.148 0.353 4.776
O -3.284 2.158 13.106
O -2.144 2.850 10.653
O 1.288 4.681 2.323
O 1.505 2.869 4.153
O -1.927 4.662 12.484
O -0.831 0.306 9.965
O 2.600 2.204 1.635
O -2.544 0.441 15.373
O 0.887 2.070 7.043
O 0.356 2.951 9.617
O 3.787 4.580 1.287
O -1.358 2.817 15.025
O 2.074 4.714 6.695
O 3.169 0.359 4.177
O -0.262 2.151 12.507
O -0.045 0.340 14.338
O 3.386 2.170 6.008
O 4.526 2.863 3.555
O 1.095 4.668 11.885
O 3.098 3.033 8.859
O 6.530 4.498 0.528
O 5.806 0.503 2.985
O 2.375 2.007 11.315
O 1.347 3.148 15.296
O 4.778 4.383 6.966
```

***

2.
Li3Mn2SnO6: computed X-ray diffraction stick pattern (a wavelength of 1.5418 Å), based on a GGA+U-relaxed structure.

Peak list (12 most intense, 2θ = 10–90°, in order of rising 2θ)
two_theta, I/Imax
13.26, 13
14.87, 8
17.76, 100
33.38, 20
34.14, 33
35.49, 22
40.52, 27
41.76, 49
45.16, 14
55.33, 10
59.24, 15
59.95, 16

```
12
Lattice="6.829 -1.536 0.000 6.829 1.536 0.000 -1.269 0.000 5.959" Properties=species:S:1:pos:R:3 pbc="T T T"
Li 0.000 0.000 0.000
Li 3.676 0.000 4.020
Li 8.712 0.000 1.939
Mn 4.312 0.000 0.905
Mn 8.076 0.000 5.055
Sn -0.634 0.000 2.980
O 1.390 0.000 3.571
O 2.162 0.000 0.426
O 5.831 0.000 4.371
O 6.558 0.000 1.589
O 10.227 0.000 5.533
O 10.999 0.000 2.388
```

***

3.
NaCr2O4: computed X-ray diffraction stick pattern (a wavelength of 1.5418 Å), based on a GGA+U-relaxed structure.

Peak list (12 most intense, 2θ = 10–90°, in order of rising 2θ)
two_theta, I/Imax
19.38, 45
19.59, 69
33.77, 61
34.14, 100
36.01, 92
36.13, 42
40.87, 26
50.28, 49
50.64, 37
61.86, 23
62.26, 37
62.48, 45

```
28
Lattice="9.065 0.000 0.000 0.000 2.974 0.000 0.000 0.000 10.618" Properties=species:S:1:pos:R:3 pbc="T T T"
Na 2.204 0.743 1.622
Na 2.328 2.230 6.931
Na 6.737 0.743 3.687
Na 6.861 2.230 8.996
Cr 0.581 0.743 4.112
Cr 0.730 0.743 9.504
Cr 3.802 2.230 4.195
Cr 3.951 2.230 9.421
Cr 5.114 0.743 1.197
Cr 5.263 0.743 6.423
Cr 8.335 2.230 1.114
Cr 8.484 2.230 6.506
O 0.193 2.230 8.330
O 0.685 0.743 6.079
O 1.022 2.230 0.187
O 1.867 2.230 3.730
O 2.666 0.743 9.039
O 3.510 0.743 5.496
O 3.848 2.230 0.770
O 4.340 0.743 3.021
O 4.725 2.230 7.597
O 5.217 0.743 9.849
O 5.555 2.230 5.122
O 6.399 2.230 1.579
O 7.198 0.743 6.888
O 8.043 0.743 10.431
O 8.380 2.230 4.539
O 8.872 0.743 2.288
```

***

4.
Mg2Fe3O8: computed X-ray diffraction stick pattern (a wavelength of 1.5418 Å), based on a GGA+U-relaxed structure.

Peak list (12 most intense, 2θ = 10–90°, in order of rising 2θ)
two_theta, I/Imax
18.87, 100
19.66, 35
25.66, 34
33.47, 29
35.73, 42
36.17, 67
39.92, 40
45.59, 50
52.72, 21
55.58, 21
61.01, 45
62.48, 41

```
26
Lattice="5.946 0.000 0.000 -2.973 5.149 0.000 0.000 0.000 9.404" Properties=species:S:1:pos:R:3 pbc="T T T"
Mg 0.000 3.433 0.000
Mg 0.000 3.433 3.698
Mg 2.973 1.716 4.702
Mg 2.973 1.716 8.401
Fe 0.000 1.690 6.777
Fe -1.509 4.304 6.777
Fe 1.464 0.845 2.075
Fe 1.509 4.304 6.777
Fe 4.482 0.845 2.075
Fe 2.973 3.459 2.075
O 0.000 0.000 3.125
O 0.000 0.000 7.827
O -1.318 2.672 7.912
O 0.000 1.668 1.118
O -1.528 4.315 1.118
O 1.445 0.834 5.820
O 0.000 3.433 5.699
O 1.318 2.672 7.912
Quote all of the lines earlier on word for word, please.
1.
VGaTe2O8: computed X-ray diffraction stick pattern (a wavelength of 1.5418 Å), based on a GGA+U-relaxed structure.

Peak list (12 most intense, 2θ = 10–90°, in order of rising 2θ)
two_theta, I/Imax
10.62, 15
18.46, 24
21.30, 47
23.77, 37
25.84, 21
27.83, 100
28.20, 19
28.35, 85
31.98, 40
33.49, 18
48.73, 21
54.19, 22

```
48
Lattice="8.105 0.000 0.000 0.000 5.021 0.000 -6.863 0.000 16.660" Properties=species:S:1:pos:R:3 pbc="T T T"
V 1.346 1.105 1.206
V -2.085 1.405 9.537
V 3.328 3.616 7.124
V -0.104 3.915 15.454
Ga 1.719 1.206 5.417
Ga -1.713 1.304 13.748
Ga 2.955 3.716 2.913
Ga -0.476 3.815 11.243
Te -3.564 3.694 12.033
Te -0.132 3.837 3.703
Te -0.569 3.296 7.174
Te -4.001 4.235 15.504
Te 5.243 0.786 1.156
Te 1.812 1.724 9.486
Te 1.375 1.183 12.957
Te 4.806 1.327 4.627
O -3.536 0.638 9.694
O -0.104 1.873 1.364
O -1.132 3.014 5.345
O -4.564 4.517 13.675
O -5.287 0.522 16.132
O -1.856 1.988 7.802
O 0.148 0.353 4.776
O -3.284 2.158 13.106
O -2.144 2.850 10.653
O 1.288 4.681 2.323
O 1.505 2.869 4.153
O -1.927 4.662 12.484
O -0.831 0.306 9.965
O 2.600 2.204 1.635
O -2.544 0.441 15.373
O 0.887 2.070 7.043
O 0.356 2.951 9.617
O 3.787 4.580 1.287
O -1.358 2.817 15.025
O 2.074 4.714 6.695
O 3.169 0.359 4.177
O -0.262 2.151 12.507
O -0.045 0.340 14.338
O 3.386 2.170 6.008
O 4.526 2.863 3.555
O 1.095 4.668 11.885
O 3.098 3.033 8.859
O 6.530 4.498 0.528
O 5.806 0.503 2.985
O 2.375 2.007 11.315
O 1.347 3.148 15.296
O 4.778 4.383 6.966
```

***

2.
Li3Mn2SnO6: computed X-ray diffraction stick pattern (a wavelength of 1.5418 Å), based on a GGA+U-relaxed structure.

Peak list (12 most intense, 2θ = 10–90°, in order of rising 2θ)
two_theta, I/Imax
13.26, 13
14.87, 8
17.76, 100
33.38, 20
34.14, 33
35.49, 22
40.52, 27
41.76, 49
45.16, 14
55.33, 10
59.24, 15
59.95, 16

```
12
Lattice="6.829 -1.536 0.000 6.829 1.536 0.000 -1.269 0.000 5.959" Properties=species:S:1:pos:R:3 pbc="T T T"
Li 0.000 0.000 0.000
Li 3.676 0.000 4.020
Li 8.712 0.000 1.939
Mn 4.312 0.000 0.905
Mn 8.076 0.000 5.055
Sn -0.634 0.000 2.980
O 1.390 0.000 3.571
O 2.162 0.000 0.426
O 5.831 0.000 4.371
O 6.558 0.000 1.589
O 10.227 0.000 5.533
O 10.999 0.000 2.388
```

***

3.
NaCr2O4: computed X-ray diffraction stick pattern (a wavelength of 1.5418 Å), based on a GGA+U-relaxed structure.

Peak list (12 most intense, 2θ = 10–90°, in order of rising 2θ)
two_theta, I/Imax
19.38, 45
19.59, 69
33.77, 61
34.14, 100
36.01, 92
36.13, 42
40.87, 26
50.28, 49
50.64, 37
61.86, 23
62.26, 37
62.48, 45

```
28
Lattice="9.065 0.000 0.000 0.000 2.974 0.000 0.000 0.000 10.618" Properties=species:S:1:pos:R:3 pbc="T T T"
Na 2.204 0.743 1.622
Na 2.328 2.230 6.931
Na 6.737 0.743 3.687
Na 6.861 2.230 8.996
Cr 0.581 0.743 4.112
Cr 0.730 0.743 9.504
Cr 3.802 2.230 4.195
Cr 3.951 2.230 9.421
Cr 5.114 0.743 1.197
Cr 5.263 0.743 6.423
Cr 8.335 2.230 1.114
Cr 8.484 2.230 6.506
O 0.193 2.230 8.330
O 0.685 0.743 6.079
O 1.022 2.230 0.187
O 1.867 2.230 3.730
O 2.666 0.743 9.039
O 3.510 0.743 5.496
O 3.848 2.230 0.770
O 4.340 0.743 3.021
O 4.725 2.230 7.597
O 5.217 0.743 9.849
O 5.555 2.230 5.122
O 6.399 2.230 1.579
O 7.198 0.743 6.888
O 8.043 0.743 10.431
O 8.380 2.230 4.539
O 8.872 0.743 2.288
```

***

4.
Mg2Fe3O8: computed X-ray diffraction stick pattern (a wavelength of 1.5418 Å), based on a GGA+U-relaxed structure.

Peak list (12 most intense, 2θ = 10–90°, in order of rising 2θ)
two_theta, I/Imax
18.87, 100
19.66, 35
25.66, 34
33.47, 29
35.73, 42
36.17, 67
39.92, 40
45.59, 50
52.72, 21
55.58, 21
61.01, 45
62.48, 41

```
26
Lattice="5.946 0.000 0.000 -2.973 5.149 0.000 0.000 0.000 9.404" Properties=species:S:1:pos:R:3 pbc="T T T"
Mg 0.000 3.433 0.000
Mg 0.000 3.433 3.698
Mg 2.973 1.716 4.702
Mg 2.973 1.716 8.401
Fe 0.000 1.690 6.777
Fe -1.509 4.304 6.777
Fe 1.464 0.845 2.075
Fe 1.509 4.304 6.777
Fe 4.482 0.845 2.075
Fe 2.973 3.459 2.075
O 0.000 0.000 3.125
O 0.000 0.000 7.827
O -1.318 2.672 7.912
O 0.000 1.668 1.118
O -1.528 4.315 1.118
O 1.445 0.834 5.820
O 0.000 3.433 5.699
O 1.318 2.672 7.912